const optionsSchema = require("../config/optionsSchema.json");

const { GROUPS } = require("../utils/constants");

const {

const nestedProperties = ["anyOf", "oneOf", "allOf"];

const resolveSchema = schema => {
	let current = schema;
	if (schema && typeof schema === "object" && "$ref" in schema) {
		const path = schema.$ref.split("/");
		for (const element of path) {
			if (element === "#") {
				current = optionsSchema;
			} else {
				current = current[element];
	return current;

const findPropertyInSchema = (schema, property, subProperty) => {
	if (!schema) return null;
	if (subProperty) {
		if (schema[property] && typeof schema[property] === "object" && subProperty in schema[property]) {
			return resolveSchema(schema[property][subProperty]);
	} else {
		if (property in schema) return resolveSchema(schema[property]);
	for (const name of nestedProperties) {
		if (schema[name]) {
			for (const item of schema[name]) {
				const resolvedItem = resolveSchema(item);
				const result = findPropertyInSchema(resolvedItem, property, subProperty);
				if (result) return result;
	return undefined;

const getSchemaInfo = (path, property, subProperty) => {
	const pathSegments = path.split(".");
	let current = optionsSchema;
	for (const segment of pathSegments) {
		if (segment === "*") {
			current = findPropertyInSchema(current, "additionalProperties") || findPropertyInSchema(current, "items");
		} else {
			current = findPropertyInSchema(current, "properties", segment);
		if (!current) return undefined;
	return findPropertyInSchema(current, property, subProperty);

Records of crystals, as found in the file:
┌──
Diffraction record for CeTe2. The powder diffractogram is simulated, not measured: it uses a cell relaxed with GGA-PBE and Cu Kα.
Lines closer than 0.1° are merged.

Structural model:
```
CeTe2
1.0
4.5065 0.0000 0.0000
0.0000 4.5065 0.0000
0.0000 0.0000 9.0609
Ce Te
2 4
Cartesian
1.1266 1.1266 2.0867
3.3799 3.3799 6.9742
1.1266 1.1266 7.8904
1.1266 3.3799 4.5305
3.3799 1.1266 4.5305
3.3799 3.3799 1.1705
```

The 10 most intense peaks (2θ = 10–90°), in order of falling intensity:
2θ 29.72, I = 100.0, (1 1 1)
2θ 34.41, I = 93.0, (1 1 2)
2θ 40.01, I = 65.1, (2 0 0)
2θ 35.79, I = 52.4, (1 0 3)
2θ 27.97, I = 40.5, (1 1 0)
2θ 29.58, I = 35.7, (0 0 3)
2θ 66.38, I = 33.5, (2 2 3)
2θ 50.54, I = 31.8, (2 0 3)
2θ 54.76, I = 30.7, (2 1 3)
2θ 69.10, I = 24.1, (3 1 2)

---

Diffraction record for TbCoSi. The powder diffractogram is simulated, not measured: it uses a cell relaxed with GGA-PBE and Cu Kα.
Lines closer than 0.1° are merged.

Structural model:
```
TbCoSi
1.0
3.9896 0.0000 0.0000
0.0000 3.9896 0.0000
0.0000 0.0000 6.6659
Tb Co Si
2 2 2
Cartesian
0.9974 0.9974 1.2181
2.9922 2.9922 5.4478
0.9974 2.9922 3.3329
2.9922 0.9974 3.3329
0.9974 0.9974 4.5643
2.9922 2.9922 2.1015
```

The 10 most intense peaks (2θ = 10–90°), in order of falling intensity:
2θ 26.03, I = 100.0, (1 0 1)
2θ 41.96, I = 71.4, (1 1 2)
2θ 35.08, I = 65.7, (1 0 2)
2θ 45.47, I = 50.2, (2 0 0)
2θ 34.52, I = 47.6, (1 1 1)
2θ 31.72, I = 34.1, (1 1 0)
2θ 58.69, I = 29.6, (2 1 2)
2θ 53.14, I = 29.3, (2 1 1)
2θ 60.18, I = 24.4, (1 0 4)
2θ 78.55, I = 22.7, (2 1 4)

* * * * *

1.
Calculated powder X-ray diffraction pattern of Tb7Dy5Ho for Cu Kα X-rays, from a structure optimized by DFT (PBE).
Lines closer than 0.1° are merged.

Cell and atoms:
```
data_Tb7Dy5Ho
_cell_length_a 6.6442
_cell_length_b 11.1289
_cell_length_c 11.5084
_cell_angle_alpha 90.00
_cell_angle_beta 90.00
_cell_angle_gamma 90.00
_symmetry_space_group_name_H-M 'I m m 2'
_symmetry_Int_Tables_number 44
_symmetry_space_group_name_Hall 'I 2 -2'
loop_
_atom_site_label
_atom_site_type_symbol
_atom_site_fract_x
_atom_site_fract_y
_atom_site_fract_z
Tb1 Tb 0.0000 0.0000 0.0000
Tb2 Tb 0.0000 0.0000 0.3068
Tb3 Tb 0.0000 0.3293 0.2518
Tb4 Tb 0.0000 0.3287 0.7510
Tb5 Tb 0.0000 0.5000 0.0012
Dy1 Dy 0.0000 0.5000 0.5013
Dy2 Dy 0.2322 0.2276 0.5017
Ho1 Ho 0.0000 0.0000 0.6935
```

Main lines, low angle first (10° ≤ 2θ ≤ 90°):
2θ 26.8, I = 25, hkl 2 0 0
2θ 27.5, I = 30, hkl 1 3 0
2θ 31.1, I = 100, hkl 0 0 4
2θ 31.4, I = 59, hkl 2 2 0
2θ 31.7, I = 81, hkl 1 3 2
2θ 35.1, I = 81, hkl 2 2 2
2θ 35.9, I = 27, hkl 0 4 2
2θ 56.9, I = 26, hkl 2 6 0
2θ 57.9, I = 33, hkl 2 2 6
2θ 66.2, I = 25, hkl 2 6 4

2.
Calculated powder X-ray diffraction pattern of La4CuRh2 for Cu Kα X-rays, from a structure optimized by DFT (PBE).
Lines closer than 0.1° are merged.

Cell and atoms:
```
data_La4CuRh2
_cell_length_a 11.9087
_cell_length_b 8.9875
_cell_length_c 7.7973
_cell_angle_alpha 90.00
_cell_angle_beta 110.66
_cell_angle_gamma 90.00
└──

module.exports = function(yargs) {
		.alias("help", "h")
		.alias("version", "v")
			config: {
				type: "string",
				describe: "Path to the config file",
				group: CONFIG_GROUP,
				defaultDescription: "webpack.config.js or webpackfile.js",
				requiresArg: true
			"config-register": {
				type: "array",
				alias: "r",
				describe: "Preload one or more modules before loading the webpack configuration",
				group: CONFIG_GROUP,
				defaultDescription: "module id or path",
				requiresArg: true
			"config-name": {
				type: "string",
				describe: "Name of the config to use",
				group: CONFIG_GROUP,
				requiresArg: true
			env: {
				describe: "Environment passed to the config, when it is a function",
				group: CONFIG_GROUP
			mode: {
				type: getSchemaInfo("mode", "type"),
				choices: getSchemaInfo("mode", "enum"),
				describe: getSchemaInfo("mode", "description"),
				group: CONFIG_GROUP,
				requiresArg: true
			context: {
				type: getSchemaInfo("context", "type"),
				describe: getSchemaInfo("context", "description"),
				group: BASIC_GROUP,
				defaultDescription: "The current directory",
				requiresArg: true
			entry: {
				type: "string",
				describe: getSchemaInfo("entry", "description"),
				group: BASIC_GROUP,
				requiresArg: true
			"module-bind": {
				type: "string",
				describe: "Bind an extension to a loader",
				group: MODULE_GROUP,
				requiresArg: true
			"module-bind-post": {
				type: "string",
				describe: "Bind an extension to a post loader",
				group: MODULE_GROUP,
				requiresArg: true
			"module-bind-pre": {
				type: "string",
				describe: "Bind an extension to a pre loader",
				group: MODULE_GROUP,
				requiresArg: true
			output: {
				alias: "o",
				describe: "The output path and file for compilation assets",
				group: OUTPUT_GROUP,
				requiresArg: true
			"output-path": {
				type: "string",
				describe: getSchemaInfo("output.path", "description"),
				group: OUTPUT_GROUP,
				defaultDescription: "The current directory",
				requiresArg: true
			"output-filename": {
				type: "string",
				describe: getSchemaInfo("output.filename", "description"),
				group: OUTPUT_GROUP,
				defaultDescription: "[name].js",
				requiresArg: true
			"output-chunk-filename": {
				type: "string",
				describe: getSchemaInfo("output.chunkFilename", "description"),
				group: OUTPUT_GROUP,
				defaultDescription: "filename with [id] instead of [name] or [id] prefixed",
				requiresArg: true
			"output-source-map-filename": {
				type: "string",
				describe: getSchemaInfo("output.sourceMapFilename", "description"),
				group: OUTPUT_GROUP,
				requiresArg: true
			"output-public-path": {
				type: "string",
				describe: getSchemaInfo("output.publicPath", "description"),
				group: OUTPUT_GROUP,
				requiresArg: true
			"output-jsonp-function": {
				type: "string",
				describe: getSchemaInfo("output.jsonpFunction", "description"),
				group: OUTPUT_GROUP,
				requiresArg: true
			"output-pathinfo": {
				type: "boolean",
				describe: getSchemaInfo("output.pathinfo", "description"),
				group: OUTPUT_GROUP
			"output-library": {
				type: "array",
				describe: "Expose the exports of the entry point as library",
				group: OUTPUT_GROUP,
				requiresArg: true
			"output-library-target": {
				type: "string",
				describe: getSchemaInfo("output.libraryTarget", "description"),
				choices: getSchemaInfo("output.libraryTarget", "enum"),
				group: OUTPUT_GROUP,
				requiresArg: true
			"records-input-path": {
				type: "string",
				describe: getSchemaInfo("recordsInputPath", "description"),
				group: ADVANCED_GROUP,
				requiresArg: true
			"records-output-path": {
				type: "string",
				describe: getSchemaInfo("recordsOutputPath", "description"),
				group: ADVANCED_GROUP,
				requiresArg: true
			"records-path": {
				type: "string",
				describe: getSchemaInfo("recordsPath", "description"),
				group: ADVANCED_GROUP,
				requiresArg: true
			define: {
				type: "string",
				describe: "Define any free var in the bundle",
				group: ADVANCED_GROUP,
				requiresArg: true
			target: {
				type: "string",
				describe: getSchemaInfo("target", "description"),
				group: ADVANCED_GROUP,
				requiresArg: true
			cache: {
				type: "boolean",
				describe: getSchemaInfo("cache", "description"),
				default: null,
				group: ADVANCED_GROUP,
				defaultDescription: "It's enabled by default when watching"
			watch: {
				type: "boolean",
				alias: "w",
				describe: getSchemaInfo("watch", "description"),
				group: BASIC_GROUP
			"watch-stdin": {
				type: "boolean",
				alias: "stdin",
				describe: getSchemaInfo("watchOptions.stdin", "description"),
			"watch-aggregate-timeout": {
				describe: getSchemaInfo("watchOptions.aggregateTimeout", "description"),
				type: getSchemaInfo("watchOptions.aggregateTimeout", "type"),
				group: ADVANCED_GROUP,
				requiresArg: true
			"watch-poll": {
				type: "string",
				describe: getSchemaInfo("watchOptions.poll", "description"),
			hot: {
				type: "boolean",
				describe: "Enables Hot Module Replacement",
			debug: {
				type: "boolean",
				describe: "Switch loaders to debug mode",
				group: BASIC_GROUP
			devtool: {
				type: "string",
				describe: getSchemaInfo("devtool", "description"),
				group: BASIC_GROUP,
				requiresArg: true
			"resolve-alias": {
				type: "string",
				describe: getSchemaInfo("resolve.alias", "description"),
				group: RESOLVE_GROUP,
				requiresArg: true
			"resolve-extensions": {
				type: "array",
				describe: getSchemaInfo("resolve.alias", "description"),
				group: RESOLVE_GROUP,
				requiresArg: true
			"resolve-loader-alias": {
				type: "string",
				describe: "Setup a loader alias for resolving",
				group: RESOLVE_GROUP,
				requiresArg: true
			"optimize-max-chunks": {
				describe: "Try to keep the chunk count below a limit",
				group: OPTIMIZE_GROUP,
				requiresArg: true
			"optimize-min-chunk-size": {
				describe: getSchemaInfo("optimization.splitChunks.minSize", "description"),
				group: OPTIMIZE_GROUP,
				requiresArg: true
			"optimize-minimize": {
				type: "boolean",
				describe: getSchemaInfo("optimization.minimize", "description"),
			prefetch: {
				type: "string",
				describe: "Prefetch this request (Example: --prefetch ./file.js)",
				group: ADVANCED_GROUP,
				requiresArg: true
			provide: {
				type: "string",
				describe: "Provide these modules as free vars in all modules (Example: --provide jQuery=jquery)",
				group: ADVANCED_GROUP,
				requiresArg: true
			"labeled-modules": {
				type: "boolean",
				describe: "Enables labeled modules",
			plugin: {
				type: "string",
				describe: "Load this plugin",
				group: ADVANCED_GROUP,
				requiresArg: true
			bail: {
				type: getSchemaInfo("bail", "type"),
				describe: getSchemaInfo("bail", "description"),
				group: ADVANCED_GROUP,
				default: null
			profile: {
				type: "boolean",
				describe: getSchemaInfo("profile", "description"),
				group: ADVANCED_GROUP,
				default: null
			d: {
				type: "boolean",
				describe: "shortcut for --debug --devtool eval-cheap-module-source-map --output-pathinfo",
				group: BASIC_GROUP
			p: {
				type: "boolean",
				// eslint-disable-next-line quotes
				describe: 'shortcut for --optimize-minimize --define process.env.NODE_ENV="production"',
				group: BASIC_GROUP
			silent: {
				type: "boolean",
				describe: "Prevent output from being displayed in stdout"
			json: {
				type: "boolean",
				alias: "j",
				describe: "Prints the result as JSON."
			progress: {
				type: "boolean",
				describe: "Print compilation progress in percentage",
				group: BASIC_GROUP
			color: {
				type: "boolean",
				alias: "colors",
				default: function supportsColor() {
					return require("supports-color").stdout;
				group: DISPLAY_GROUP,
				describe: "Force colors on the console"
			"no-color": {
				type: "boolean",
				alias: "no-colors",
				group: DISPLAY_GROUP,
				describe: "Force no colors on the console"
			"sort-modules-by": {
				type: "string",
				group: DISPLAY_GROUP,
				describe: "Sorts the modules list by property in module"
			"sort-chunks-by": {
				type: "string",
				group: DISPLAY_GROUP,
				describe: "Sorts the chunks list by property in chunk"
			"sort-assets-by": {
				type: "string",
				group: DISPLAY_GROUP,
				describe: "Sorts the assets list by property in asset"
			"hide-modules": {
				type: "boolean",
				group: DISPLAY_GROUP,
				describe: "Hides info about modules"
			"display-exclude": {
				type: "string",
				group: DISPLAY_GROUP,
				describe: "Exclude modules in the output"
			"display-modules": {
				type: "boolean",
				group: DISPLAY_GROUP,
				describe: "Display even excluded modules in the output"
			"display-max-modules": {
				type: "number",
				group: DISPLAY_GROUP,
				describe: "Sets the maximum number of visible modules in output"
			"display-chunks": {
				type: "boolean",
				group: DISPLAY_GROUP,
				describe: "Display chunks in the output"
			"display-entrypoints": {
				type: "boolean",
				group: DISPLAY_GROUP,
				describe: "Display entry points in the output"
			"display-origins": {
				type: "boolean",
				group: DISPLAY_GROUP,
				describe: "Display origins of chunks in the output"
			"display-cached": {
				type: "boolean",
				group: DISPLAY_GROUP,
				describe: "Display also cached modules in the output"
			"display-cached-assets": {
				type: "boolean",
				group: DISPLAY_GROUP,
				describe: "Display also cached assets in the output"
			"display-reasons": {
				type: "boolean",
				group: DISPLAY_GROUP,
				describe: "Display reasons about module inclusion in the output"
			"display-depth": {
				type: "boolean",
				group: DISPLAY_GROUP,
				describe: "Display distance from entry point for each module"
			"display-used-exports": {
				type: "boolean",
				group: DISPLAY_GROUP,
				describe: "Display information about used exports in modules (Tree Shaking)"
			"display-provided-exports": {
				type: "boolean",
				group: DISPLAY_GROUP,
				describe: "Display information about exports provided from modules"
			"display-optimization-bailout": {
				type: "boolean",
				group: DISPLAY_GROUP,
				describe: "Display information about why optimization bailed out for modules"
			"display-error-details": {
				type: "boolean",
				group: DISPLAY_GROUP,
				describe: "Display details about errors"
			display: {
				type: "string",
				choices: ["", "verbose", "detailed", "normal", "minimal", "errors-only", "none"],
				group: DISPLAY_GROUP,
				describe: "Select display preset"
			verbose: {
				type: "boolean",
				group: DISPLAY_GROUP,
				describe: "Show more details"
			"info-verbosity": {
				type: "string",
				default: "info",
				choices: ["none", "info", "verbose"],
				group: DISPLAY_GROUP,
				describe: "Controls the output of lifecycle messaging e.g. Started watching files..."
			"build-delimiter": {
				type: "string",
				group: DISPLAY_GROUP,
				describe: "Display custom text after build output"